[Listing]
~~~
Density functional theory data (PBE) for an optimized crystal structure of Li12Nb14ZnO42.

Computed properties:
Calculated volume = 11.3 A^3/atom
Formation energy = -19139 kJ/mol of formula units
Electronic total energy = -7.87 eV per atom

Unit cell a=9.061 b=9.276 c=9.896 alpha=103.60 beta=98.78 gamma=99.36
Fractional coordinates of all 69 atoms:
Li 0.246 0.262 0.210
O 0.184 0.703 0.507
O 0.018 0.308 0.803
O 0.120 0.419 0.115
O 0.969 0.845 0.827
O 0.325 0.273 0.793
Nb 0.356 0.929 0.213
Nb 0.644 0.079 0.792
Li 0.818 0.549 0.354
Nb 0.574 0.288 0.144
O 0.733 0.430 0.122
Nb 0.929 0.216 0.355
Li 0.675 0.975 0.069
Zn 0.960 0.117 0.641
Nb 0.292 0.143 0.573
Li 0.459 0.620 0.139
O 0.873 0.741 0.526
O 0.828 0.273 0.544
Li 0.388 0.834 0.497
Nb 0.855 0.432 0.719
Nb 0.998 0.000 0.000
Li 0.316 0.049 0.855
O 0.469 0.845 0.077
O 0.980 0.670 0.240
O 0.594 0.850 0.829
O 0.454 0.282 0.545
O 0.310 0.710 0.261
O 0.696 0.281 0.788
O 0.589 0.598 0.954
Li 0.746 0.765 0.712
O 0.758 0.991 0.652
O 0.023 0.567 0.687
O 0.552 0.957 0.383
O 0.988 0.425 0.368
Nb 0.070 0.780 0.642
O 0.255 0.988 0.400
O 0.272 0.566 0.938
Nb 0.710 0.853 0.426
Nb 0.788 0.639 0.068
O 0.540 0.130 0.969
O 0.846 0.851 0.083
O 0.560 0.711 0.511
O 0.695 0.528 0.668
Li 0.104 0.693 0.926
O 0.267 0.813 0.811
Nb 0.499 0.501 0.499
O 0.397 0.558 0.684
O 0.611 0.417 0.364
O 0.041 0.131 0.221
O 0.302 0.455 0.384
O 0.681 0.703 0.255
Li 0.529 0.407 0.784
Li 0.604 0.191 0.425
O 0.127 0.995 0.654
O 0.833 0.089 0.951
O 0.410 0.383 0.096
O 0.416 0.138 0.224
O 0.124 0.239 0.527
Nb 0.430 0.715 0.857
Li 0.174 0.476 0.569
O 0.731 0.169 0.240
O 0.159 0.883 0.097
O 0.166 0.137 0.974
Li 0.031 0.905 0.282
Nb 0.213 0.358 0.930
O 0.882 0.995 0.406
O 0.444 0.027 0.669
Nb 0.142 0.571 0.283
O 0.900 0.564 0.930

***

Density functional theory data (PBE) for an optimized crystal structure of LiNbZnO4.

Computed properties:
Calculated volume = 11.6 A^3/atom
Formation energy = -1742 kJ/mol of formula units
Largest piezoelectric modulus = 0.12 C/m2
Electronic total energy = -6.91 eV per atom

Unit cell a=6.172 b=6.172 c=8.505 alpha=90.00 beta=90.00 gamma=90.00
Fractional coordinates of all 28 atoms:
O 0.483 0.734 0.266
O 0.737 0.017 0.003
O 0.737 0.983 0.497
Zn 0.259 0.259 0.625
O 0.263 0.983 0.503
Li 0.000 0.219 0.000
O 0.266 0.517 0.484
O 0.734 0.483 0.984
Li 0.219 0.000 0.250
Nb 0.787 0.500 0.750
O 0.734 0.517 0.516
O 0.983 0.737 0.753
Zn 0.741 0.259 0.375
Nb 0.500 0.213 0.000
Zn 0.259 0.741 0.875
O 0.483 0.266 0.234
O 0.517 0.266 0.766
O 0.517 0.734 0.734
O 0.017 0.737 0.247
Zn 0.741 0.741 0.125
O 0.263 0.017 0.997
Nb 0.213 0.500 0.250
O 0.266 0.483 0.016
O 0.017 0.263 0.253
O 0.983 0.263 0.747
Li 0.781 0.000 0.750
Nb 0.500 0.787 0.500
Li 0.000 0.781 0.500

***

no.,E (MP2020) (eV per atom)
1,-8.2864
2,-7.3028

* * * * *

*w*
! LiCuCO3, optimized geometry, DFT PBE; values from VASP
! Symmetry: P-1, No. 2
&SYSTEM
  ibrav = 0, nat = 12, ntyp = 4
/
ATOMIC_SPECIES
Li 6.94 Li.upf
Cu 63.55 Cu.upf
C 12.01 C.upf
O 16.00 O.upf
ATOMIC_POSITIONS crystal
Li 0.244 0.635 0.669
Li 0.756 0.365 0.331
Cu 0.601 0.261 0.772
Cu 0.399 0.739 0.228
C 0.935 0.932 0.740
C 0.065 0.068 0.260
O 0.676 0.690 0.739
O 0.195 0.902 0.786
O 0.930 0.206 0.692
O 0.070 0.794 0.308
O 0.805 0.098 0.214
O 0.324 0.310 0.261
CELL_PARAMETERS angstrom
-2.958 0.356 4.061
0.009 -4.369 -2.640
5.237 0.490 3.735



*x*
! LiCuCO3, optimized geometry, DFT PBE; values from VASP
! Symmetry: P-1, No. 2
&SYSTEM
  ibrav = 0, nat = 12, ntyp = 4
/
ATOMIC_SPECIES
Li 6.94 Li.upf
Cu 63.55 Cu.upf
C 12.01 C.upf
O 16.00 O.upf
ATOMIC_POSITIONS crystal
Li 0.669 0.635 0.424
Li 0.331 0.365 0.576
Cu 0.772 0.261 0.171
Cu 0.228 0.739 0.829
C 0.740 0.932 0.805
C 0.260 0.068 0.195
O 0.739 0.690 0.063
O 0.786 0.902 0.591
O 0.692 0.206 0.762
O 0.308 0.794 0.238
O 0.214 0.098 0.409
O 0.261 0.310 0.937
CELL_PARAMETERS angstrom
6.222 1.201 2.015
-1.534 1.968 4.453
-2.540 -2.953 3.194



Most stable = *x*



*w*
! Eu2MgSe4, optimized geometry, DFT PBE; values from VASP
~~~

[Request]
What is needed: filter the contents above: keep the lines with the word "values".

[Solution]
! LiCuCO3, optimized geometry, DFT PBE; values from VASP
! LiCuCO3, optimized geometry, DFT PBE; values from VASP
! Eu2MgSe4, optimized geometry, DFT PBE; values from VASP